Material >
........
{
  "formula": "C56H118InN6O8",
  "method": "ωB97M-V/def2-TZVPD",
  "elements": ["C", "H", "H", "H", "H", "H", "H", "H", "H", "H", "H", "H", "H", "H", "C", "C", "H", "H", "H", "C", "H", "C", "C", "H", "H", "H", "C", "H", "H", "C", "H", "H", "C", "H", "C", "N", "C", "H", "C", "C", "H", "C", "H", "H", "C", "C", "H", "In", "C", "C", "C", "H", "H", "C", "H", "H", "O", "H", "H", "H", "H", "H", "H", "H", "H", "C", "N", "H", "C", "H", "H", "H", "C", "H", "H", "C", "H", "C", "O", "C", "C", "H", "H", "H", "O", "N", "H", "H", "H", "C", "C", "C", "H", "H", "C", "H", "H", "C", "C", "H", "H", "H", "H", "H", "C", "C", "C", "H", "H", "N", "H", "H", "C", "C", "C", "C", "O", "H", "C", "C", "H", "H", "H", "C", "H", "H", "H", "H", "H", "H", "O", "C", "H", "C", "H", "H", "H", "H", "H", "H", "H", "H", "H", "H", "H", "H", "C", "H", "H", "N", "H", "H", "O", "H", "H", "N", "H", "C", "O", "H", "H", "C", "C", "H", "H", "H", "H", "H", "C", "H", "C", "H", "C", "H", "H", "C", "H", "H", "H", "C", "H", "H", "C", "O", "H", "H", "H", "C", "H"],
........

Request >
Write out all of the block further above without altering anything, please.

Reply >
{
  "formula": "C56H118InN6O8",
  "method": "ωB97M-V/def2-TZVPD",
  "elements": ["C", "H", "H", "H", "H", "H", "H", "H", "H", "H", "H", "H", "H", "H", "C", "C", "H", "H", "H", "C", "H", "C", "C", "H", "H", "H", "C", "H", "H", "C", "H", "H", "C", "H", "C", "N", "C", "H", "C", "C", "H", "C", "H", "H", "C", "C", "H", "In", "C", "C", "C", "H", "H", "C", "H", "H", "O", "H", "H", "H", "H", "H", "H", "H", "H", "C", "N", "H", "C", "H", "H", "H", "C", "H", "H", "C", "H", "C", "O", "C", "C", "H", "H", "H", "O", "N", "H", "H", "H", "C", "C", "C", "H", "H", "C", "H", "H", "C", "C", "H", "H", "H", "H", "H", "C", "C", "C", "H", "H", "N", "H", "H", "C", "C", "C", "C", "O", "H", "C", "C", "H", "H", "H", "C", "H", "H", "H", "H", "H", "H", "O", "C", "H", "C", "H", "H", "H", "H", "H", "H", "H", "H", "H", "H", "H", "H", "C", "H", "H", "N", "H", "H", "O", "H", "H", "N", "H", "C", "O", "H", "H", "C", "C", "H", "H", "H", "H", "H", "C", "H", "C", "H", "C", "H", "H", "C", "H", "H", "H", "C", "H", "H", "C", "O", "H", "H", "H", "C", "H"],